A simple cash grant process was made unmanageable by the persons executing it

Dear Editor

The letter ‘Headache to uplift pension book’ (KN Nov 7), told a very realistic situation at Christ Church last Friday, one of the locations for identified areas, for the 2023 pension books distribution exercise plus one off cash grant. I am told similar situations occurred at other locations in the City and elsewhere. I arrived at the location at about 11:30hrs and finally left after 14 30hrs, and left persons there who arrived before I did. Everything mentioned in the letter I endorse, including the preferential treatment meted out to persons, and I am convinced a simple process, (the process is simple), was made difficult and humongous by the persons managing and executing it. 

For starters there should have been someone at the gate with the list (or computer, nowadays the technology is mobile) to check persons’ eligibility for that location and entitlement to the grant, and where to go, if that location was where they should be. Many persons waited hours only to be told they were at the wrong location. This could have and ought to have be avoided if a better system was in place.

On arrival one was given a number chit (myself and another person had the same number… a human error? Perhaps). Numbers were called and chits collected in batches of forty along with the 2022 books by the roving staff, working under pressure, but keeping their cool. Now this is where it gets difficult to understand.  Instead of calling out the numbers, names were being called instead. So what was the purpose of the numbers? The numbers should have been matched to the collected books and called in numerical order.  It was just pure damn nonsense (that line again) that while you are waiting patiently for hours other persons could come in, speak to someone at the table, and get through and be gone. 

I fully agree the best process, which was smooth, unhindered and efficient was in 2021, for my area was located at the Parade Ground.  So, in my view, it is not the process, but the management and execution which made the difference between the two years.

Some quick observations in closing:

• Persons calling names should be familiar with the pronunciations

• Those persons must speak fluently and project their voices to be heard.  Calling names with the voice projected downward to the table does not help

┌──
Entry 1:
A molecular structure, C3H8N2S in a non-equilibrium geometry. Source: the OMol25 dataset; level of theory: the ωB97M-V functional and the def2-TZVPD basis.

- relative energy (zero: lowest compared OMol25 entry of this formula, charge and spin) (kJ/mol) = 466.9
- HOMO (eV) = -9.30
- LUMO level (hartree) = 0.01788
- E (a.u.) = -626.64545

Geometry as XYZ:
```
14
C3H8N2S the ωB97M-V functional and the def2-TZVPD basis
C -0.624 1.724 -0.191
C 0.555 -0.387 -0.021
C 0.615 -1.801 -0.279
H -0.935 2.061 1.047
H 0.722 1.787 -0.427
H -1.282 2.341 -1.221
H -1.850 -0.438 1.446
H 1.725 -1.822 -0.283
H 0.283 -1.866 -1.259
H 0.203 -2.461 0.481
H 1.554 1.160 0.575
N -0.601 0.280 -0.306
N 1.703 0.125 0.360
S -2.066 -0.705 0.078
```


Entry 2:
2 unconnected molecules or ions with the total composition C7H15O5S in a non-equilibrium geometry. Source: the OMol25 dataset; level of theory: the ωB97M-V functional and the def2-TZVPD basis.

- relative energy (zero: lowest compared OMol25 entry of this formula, charge and spin) (kJ/mol) = 217.2
- HOMO (eV) = -3.61
- LUMO level (hartree) = 0.12733
- total charge = -1
- E (a.u.) = -1050.06366

Geometry as XYZ:
```
28
C7H15O5S the ωB97M-V functional and the def2-TZVPD basis
C 2.461 -1.659 -0.495
C 0.945 0.108 -1.781
C -1.147 -0.788 -1.162
C 0.983 -1.719 -0.062
C -0.023 0.424 0.568
C -1.447 0.382 2.743
C 0.208 -0.460 -0.586
O -0.832 2.882 1.061
O -0.138 2.663 -1.220
O -2.202 1.578 -0.394
O -2.569 0.606 2.414
O -0.556 1.282 3.146
S -0.630 1.988 -0.053
H 3.071 -2.248 0.179
H 2.800 -0.547 -0.435
H 2.690 -1.960 -1.549
H 0.880 -0.565 -2.528
H 1.985 0.620 -1.654
H 0.304 0.919 -2.062
H -1.574 0.123 -1.634
H -0.971 -1.580 -1.775
H -1.948 -1.143 -0.502
H 0.748 -1.783 1.059
H 0.482 -2.647 -0.441
H 0.853 0.623 1.108
H -1.174 -0.640 2.867
H -2.432 1.431 0.565
H -0.767 2.110 2.625
```


Entry 3:
A single C4H9NS2 molecule in a non-equilibrium geometry. Source: the OMol25 dataset; level of theory: the ωB97M-V functional and the def2-TZVPD basis.

- relative energy (zero: lowest compared OMol25 entry of this formula, charge and spin) (kJ/mol) = 180.5
- HOMO (eV) = -8.75
- structure (SMILES) = CSC(=S)CCN
- LUMO level (hartree) = -0.01245
- E (a.u.) = -1008.87453

Geometry as XYZ:
```
16
C4H9NS2 the ωB97M-V functional and the def2-TZVPD basis
C 2.866 -0.253 0.549
S 1.516 -0.955 -0.424
C 0.555 0.488 -0.538
S 1.045 1.969 0.032
C -0.869 0.078 -1.163
C -2.091 0.327 -0.202
N -2.085 -0.364 1.178
H 3.238 0.705 0.044
H 3.640 -1.005 0.589
H 2.667 -0.151 1.619
H -0.749 -1.077 -1.349
H -1.264 0.484 -2.255
H -3.126 0.003 -0.582
H -2.180 1.423 -0.020
H -2.050 -1.437 1.103
H -1.111 -0.234 1.419
```


Question: Which value of relative energy (zero: lowest compared OMol25 entry of this formula, charge and spin) does entry 1 give?
Answer: 466.9 kJ/mol
└──
### End of the records of molecules

• If persons calling names cannot be loud and fluent, then consideration should be given to the employment of a public address system or some voice enhancement system

• Consideration should have provided for some snacks, especially water.  Some persons I am told was at the location ‘before bird wife wake’.

• There should be a separate desk/person(s) to deal with queries and emergencies, which was time consuming to the main desk, in order to ensure the process is moving

All in all the exercise could have been better executed.  There was probably a system but it was not evident or poorly executed.  Each year we do this…  Better must be done (it was done before).  Pensioners expect and deserve no less.


Shamshun Mohamed